[Data]
____________
A relaxed CrN3O8 crystal. Source: the Materials Project database, functional PBE with a Hubbard U.

```
CrN3O8
1.0
8.032 0.000 0.000
0.000 10.076 0.000
0.000 0.000 10.117
O N Cr
32 12 4
direct
0.791 0.691 0.266
0.222 0.670 0.753
0.842 0.499 0.449
0.998 0.513 0.409
0.884 0.306 0.246
0.722 0.830 0.753
0.513 0.457 0.885
0.156 0.378 0.767
0.998 0.013 0.591
0.372 0.498 0.941
0.342 0.001 0.449
0.013 0.543 0.115
0.656 0.122 0.767
0.842 0.999 0.551
0.498 0.487 0.591
0.872 0.502 0.059
0.156 0.878 0.233
0.291 0.309 0.734
0.513 0.957 0.115
0.384 0.194 0.246
0.013 0.043 0.885
0.372 0.998 0.059
0.291 0.809 0.266
0.222 0.170 0.247
0.872 0.002 0.941
0.722 0.330 0.247
0.384 0.694 0.754
0.656 0.622 0.233
0.498 0.987 0.409
0.791 0.191 0.734
0.342 0.501 0.551
0.884 0.806 0.754
0.607 0.731 0.989
0.335 0.984 0.742
0.107 0.269 0.011
0.835 0.516 0.742
0.107 0.769 0.989
0.335 0.484 0.258
0.607 0.231 0.011
0.610 0.746 0.511
0.610 0.246 0.489
0.110 0.254 0.489
0.835 0.016 0.258
0.110 0.754 0.511
0.347 0.499 0.747
0.347 0.999 0.253
____________
[Job]
Restate the whole of the material earlier on exactly, please.
[Result]
A relaxed CrN3O8 crystal. Source: the Materials Project database, functional PBE with a Hubbard U.

```
CrN3O8
1.0
8.032 0.000 0.000
0.000 10.076 0.000
0.000 0.000 10.117
O N Cr
32 12 4
direct
0.791 0.691 0.266
0.222 0.670 0.753
0.842 0.499 0.449
0.998 0.513 0.409
0.884 0.306 0.246
0.722 0.830 0.753
0.513 0.457 0.885
0.156 0.378 0.767
0.998 0.013 0.591
0.372 0.498 0.941
0.342 0.001 0.449
0.013 0.543 0.115
0.656 0.122 0.767
0.842 0.999 0.551
0.498 0.487 0.591
0.872 0.502 0.059
0.156 0.878 0.233
0.291 0.309 0.734
0.513 0.957 0.115
0.384 0.194 0.246
0.013 0.043 0.885
0.372 0.998 0.059
0.291 0.809 0.266
0.222 0.170 0.247
0.872 0.002 0.941
0.722 0.330 0.247
0.384 0.694 0.754
0.656 0.622 0.233
0.498 0.987 0.409
0.791 0.191 0.734
0.342 0.501 0.551
0.884 0.806 0.754
0.607 0.731 0.989
0.335 0.984 0.742
0.107 0.269 0.011
0.835 0.516 0.742
0.107 0.769 0.989
0.335 0.484 0.258
0.607 0.231 0.011
0.610 0.746 0.511
0.610 0.246 0.489
0.110 0.254 0.489
0.835 0.016 0.258
0.110 0.754 0.511
0.347 0.499 0.747
0.347 0.999 0.253